Please set down the data below with every line break kept.
This record from the Materials Project describes Ho6Ga21Co7 after structural relaxation. The functional is PBE.

- SG: P4/mbm
- Energy relative to the elements: -0.4842 eV/atom

Structure (POSCAR):
```
Ho6Ga21Co7
1.0
16.665 0.000 0.000
0.000 16.665 0.000
0.000 0.000 4.131
Ho Ga Co
12 42 14
Direct
0.088 0.158 0.000 Ho
0.107 0.607 0.500 Ho
0.158 0.912 0.000 Ho
0.342 0.412 0.000 Ho
0.393 0.107 0.500 Ho
0.412 0.658 0.000 Ho
0.588 0.342 0.000 Ho
0.607 0.893 0.500 Ho
0.658 0.588 0.000 Ho
0.842 0.088 0.000 Ho
0.893 0.393 0.500 Ho
0.912 0.842 0.000 Ho
0.000 0.500 0.000 Ga
0.031 0.890 0.500 Ga
0.041 0.271 0.500 Ga
0.075 0.740 0.000 Ga
0.076 0.424 0.500 Ga
0.110 0.031 0.500 Ga
0.179 0.790 0.500 Ga
0.180 0.320 0.000 Ga
0.210 0.179 0.500 Ga
0.229 0.459 0.500 Ga
0.240 0.575 0.000 Ga
0.260 0.075 0.000 Ga
0.271 0.959 0.500 Ga
0.290 0.679 0.500 Ga
0.320 0.820 0.000 Ga
0.321 0.290 0.500 Ga
0.390 0.531 0.500 Ga
0.424 0.924 0.500 Ga
0.425 0.240 0.000 Ga
0.459 0.771 0.500 Ga
0.469 0.390 0.500 Ga
0.500 0.000 0.000 Ga
0.531 0.610 0.500 Ga
0.541 0.229 0.500 Ga
0.575 0.760 0.000 Ga
0.576 0.076 0.500 Ga
0.610 0.469 0.500 Ga
0.679 0.710 0.500 Ga
0.680 0.180 0.000 Ga
0.710 0.321 0.500 Ga
0.729 0.041 0.500 Ga
0.740 0.925 0.000 Ga
0.760 0.425 0.000 Ga
0.771 0.541 0.500 Ga
0.790 0.821 0.500 Ga
0.820 0.680 0.000 Ga
0.821 0.210 0.500 Ga
0.890 0.969 0.500 Ga
0.924 0.576 0.500 Ga
0.925 0.260 0.000 Ga
0.959 0.729 0.500 Ga
0.969 0.110 0.500 Ga
0.000 0.000 0.000 Co
0.036 0.351 0.000 Co
0.149 0.464 0.000 Co
0.219 0.719 0.000 Co
0.281 0.219 0.000 Co
0.351 0.964 0.000 Co
0.464 0.851 0.000 Co
0.500 0.500 0.000 Co
0.536 0.149 0.000 Co
0.649 0.036 0.000 Co
0.719 0.781 0.000 Co
0.781 0.281 0.000 Co
0.851 0.536 0.000 Co
0.964 0.649 0.000 Co
```

=====

This record from the Materials Project describes CaSn2O4 after structural relaxation. The functional is PBE.

- SG: Cm
- Energy relative to the elements: -2.2874 eV/atom

Structure (POSCAR):
```
CaSn2O4
1.0
5.936 -3.190 0.000
5.936 3.190 0.000
-1.499 0.000 17.721
Ca Sn O
6 12 24
Direct
0.000 0.000 0.000 Ca
0.170 0.170 0.835 Ca
0.337 0.337 0.668 Ca
0.502 0.502 0.128 Ca
0.505 0.505 0.502 Ca
0.674 0.674 0.337 Ca
0.002 0.499 0.002 Sn
0.170 0.170 0.457 Sn
0.173 0.173 0.215 Sn
0.175 0.673 0.334 Sn
0.337 0.837 0.668 Sn
0.499 0.002 0.002 Sn
0.504 0.504 0.879 Sn
0.673 0.175 0.334 Sn
0.834 0.834 0.792 Sn
0.837 0.337 0.668 Sn
0.838 0.838 0.159 Sn
0.840 0.840 0.545 Sn
0.024 0.512 0.268 O
0.026 0.026 0.733 O
0.136 0.664 0.075 O
0.153 0.153 0.608 O
0.184 0.184 0.060 O
0.193 0.681 0.593 O
0.314 0.314 0.937 O
0.331 0.816 0.410 O
0.345 0.858 0.926 O
0.368 0.368 0.399 O
0.482 0.993 0.743 O
0.493 0.493 0.268 O
0.512 0.024 0.268 O
0.521 0.521 0.728 O
0.649 0.649 0.604 O
0.664 0.136 0.075 O
0.680 0.680 0.067 O
0.681 0.193 0.593 O
0.814 0.814 0.942 O
0.816 0.331 0.410 O
0.858 0.345 0.926 O
0.859 0.859 0.394 O
0.992 0.992 0.273 O
0.993 0.482 0.743 O
```

=====

This record from the Materials Project describes TlP3 after structural relaxation. The functional is PBE.

- SG: R3m
- Energy relative to the elements: 0.2870 eV/atom

Structure (POSCAR):
```
TlP3
1.0
2.158 1.246 5.926
-2.158 1.246 5.926
0.000 -2.492 5.926
Tl P
1 3
Direct
0.000 0.000 0.000 Tl
0.384 0.384 0.384 P
0.507 0.507 0.507 P
0.851 0.851 0.851 P
```

=====

This record from the Materials Project describes Rb2Ba8LiSb6O2 after structural relaxation. The functional is PBE.

- SG: P1
- Energy relative to the elements: -1.2642 eV/atom

Structure (POSCAR):
```
Rb2Ba8LiSb6O2
1.0
9.200 0.000 0.000
-0.159 9.334 0.000
-4.425 -4.267 8.263
Rb Ba Li Sb O
2 8 1 6 2
Direct
0.000 0.000 0.000 Rb
0.432 0.425 0.909 Rb
0.182 0.975 0.681 Ba
0.295 0.792 0.290 Ba
0.483 0.307 0.292 Ba
0.504 0.689 0.691 Ba
0.689 0.199 0.692 Ba
0.840 0.061 0.336 Ba
0.984 0.528 0.712 Ba
0.998 0.493 0.303 Ba
0.663 0.712 0.182 Li
0.112 0.369 0.994 Sb
0.250 0.244 0.484 Sb
0.407 0.875 0.017 Sb
0.605 0.102 0.990 Sb
0.744 0.756 0.491 Sb
0.847 0.635 0.010 Sb
0.244 0.739 0.494 O
0.750 0.281 0.508 O
```

=====
This record from the Materials Project describes Ho6Ga21Co7 after structural relaxation. The functional is PBE.

- SG: P4/mbm
- Energy relative to the elements: -0.4842 eV/atom

Structure (POSCAR):
```
Ho6Ga21Co7
1.0
16.665 0.000 0.000
0.000 16.665 0.000
0.000 0.000 4.131
Ho Ga Co
12 42 14
Direct
0.088 0.158 0.000 Ho
0.107 0.607 0.500 Ho
0.158 0.912 0.000 Ho
0.342 0.412 0.000 Ho
0.393 0.107 0.500 Ho
0.412 0.658 0.000 Ho
0.588 0.342 0.000 Ho
0.607 0.893 0.500 Ho
0.658 0.588 0.000 Ho
0.842 0.088 0.000 Ho
0.893 0.393 0.500 Ho
0.912 0.842 0.000 Ho
0.000 0.500 0.000 Ga
0.031 0.890 0.500 Ga
0.041 0.271 0.500 Ga
0.075 0.740 0.000 Ga
0.076 0.424 0.500 Ga
0.110 0.031 0.500 Ga
0.179 0.790 0.500 Ga
0.180 0.320 0.000 Ga
0.210 0.179 0.500 Ga
0.229 0.459 0.500 Ga
0.240 0.575 0.000 Ga
0.260 0.075 0.000 Ga
0.271 0.959 0.500 Ga
0.290 0.679 0.500 Ga
0.320 0.820 0.000 Ga
0.321 0.290 0.500 Ga
0.390 0.531 0.500 Ga
0.424 0.924 0.500 Ga
0.425 0.240 0.000 Ga
0.459 0.771 0.500 Ga
0.469 0.390 0.500 Ga
0.500 0.000 0.000 Ga
0.531 0.610 0.500 Ga
0.541 0.229 0.500 Ga
0.575 0.760 0.000 Ga
0.576 0.076 0.500 Ga
0.610 0.469 0.500 Ga
0.679 0.710 0.500 Ga
0.680 0.180 0.000 Ga
0.710 0.321 0.500 Ga
0.729 0.041 0.500 Ga
0.740 0.925 0.000 Ga
0.760 0.425 0.000 Ga
0.771 0.541 0.500 Ga
0.790 0.821 0.500 Ga
0.820 0.680 0.000 Ga
0.821 0.210 0.500 Ga
0.890 0.969 0.500 Ga
0.924 0.576 0.500 Ga
0.925 0.260 0.000 Ga
0.959 0.729 0.500 Ga
0.969 0.110 0.500 Ga
0.000 0.000 0.000 Co
0.036 0.351 0.000 Co
0.149 0.464 0.000 Co
0.219 0.719 0.000 Co
0.281 0.219 0.000 Co
0.351 0.964 0.000 Co
0.464 0.851 0.000 Co
0.500 0.500 0.000 Co
0.536 0.149 0.000 Co
0.649 0.036 0.000 Co
0.719 0.781 0.000 Co
0.781 0.281 0.000 Co
0.851 0.536 0.000 Co
0.964 0.649 0.000 Co
```

=====

This record from the Materials Project describes CaSn2O4 after structural relaxation. The functional is PBE.

- SG: Cm
- Energy relative to the elements: -2.2874 eV/atom

Structure (POSCAR):
```
CaSn2O4
1.0
5.936 -3.190 0.000
5.936 3.190 0.000
-1.499 0.000 17.721
Ca Sn O
6 12 24
Direct
0.000 0.000 0.000 Ca
0.170 0.170 0.835 Ca
0.337 0.337 0.668 Ca
0.502 0.502 0.128 Ca
0.505 0.505 0.502 Ca
0.674 0.674 0.337 Ca
0.002 0.499 0.002 Sn
0.170 0.170 0.457 Sn
0.173 0.173 0.215 Sn
0.175 0.673 0.334 Sn
0.337 0.837 0.668 Sn
0.499 0.002 0.002 Sn
0.504 0.504 0.879 Sn
0.673 0.175 0.334 Sn
0.834 0.834 0.792 Sn
0.837 0.337 0.668 Sn
0.838 0.838 0.159 Sn
0.840 0.840 0.545 Sn
0.024 0.512 0.268 O
0.026 0.026 0.733 O
0.136 0.664 0.075 O
0.153 0.153 0.608 O
0.184 0.184 0.060 O
0.193 0.681 0.593 O
0.314 0.314 0.937 O
0.331 0.816 0.410 O
0.345 0.858 0.926 O
0.368 0.368 0.399 O
0.482 0.993 0.743 O
0.493 0.493 0.268 O
0.512 0.024 0.268 O
0.521 0.521 0.728 O
0.649 0.649 0.604 O
0.664 0.136 0.075 O
0.680 0.680 0.067 O
0.681 0.193 0.593 O
0.814 0.814 0.942 O
0.816 0.331 0.410 O
0.858 0.345 0.926 O
0.859 0.859 0.394 O
0.992 0.992 0.273 O
0.993 0.482 0.743 O
```

=====

This record from the Materials Project describes TlP3 after structural relaxation. The functional is PBE.

- SG: R3m
- Energy relative to the elements: 0.2870 eV/atom

Structure (POSCAR):
```
TlP3
1.0
2.158 1.246 5.926
-2.158 1.246 5.926
0.000 -2.492 5.926
Tl P
1 3
Direct
0.000 0.000 0.000 Tl
0.384 0.384 0.384 P
0.507 0.507 0.507 P
0.851 0.851 0.851 P
```

=====

This record from the Materials Project describes Rb2Ba8LiSb6O2 after structural relaxation. The functional is PBE.

- SG: P1
- Energy relative to the elements: -1.2642 eV/atom

Structure (POSCAR):
```
Rb2Ba8LiSb6O2
1.0
9.200 0.000 0.000
-0.159 9.334 0.000
-4.425 -4.267 8.263
Rb Ba Li Sb O
2 8 1 6 2
Direct
0.000 0.000 0.000 Rb
0.432 0.425 0.909 Rb
0.182 0.975 0.681 Ba
0.295 0.792 0.290 Ba
0.483 0.307 0.292 Ba
0.504 0.689 0.691 Ba
0.689 0.199 0.692 Ba
0.840 0.061 0.336 Ba
0.984 0.528 0.712 Ba
0.998 0.493 0.303 Ba
0.663 0.712 0.182 Li
0.112 0.369 0.994 Sb
0.250 0.244 0.484 Sb
0.407 0.875 0.017 Sb
0.605 0.102 0.990 Sb
0.744 0.756 0.491 Sb
0.847 0.635 0.010 Sb
0.244 0.739 0.494 O
0.750 0.281 0.508 O
```

=====